Sunday, February 20, 2011

The Seesaw of Indecision

Maybe some of you noticed that ever since I wrote about our life-changing plan way back in the fall, I haven't really mentioned it here again. I'm talking about the BIG decision about whether or not to uproot our family from BC and move back to Manitoba.

Ringing a bell yet?

Well (if I'm being honest) I haven't mentioned it again because, almost from the day I wrote that post, we have wrestled with huge doubts and indecision.

When we went to Manitoba last summer, things weren't going that great for Erik's business here (he's self-employed doing construction & renovations). Finances were tight and Erik and I were feeling the pressure of making ends meet. That made the idea of moving to Manitoba so appealing - the lower cost of living, the small town community, less pressure to "keep up"...

Then we came back to Abbotsford - with the full intention of moving to Manitoba as planned. We started telling family and friends, and we were living our lives with a "this-is-only-temporary" mentality. But, even though there were times we were in agreement about our decision, we spent most of those fall months riding the seesaw. We debated back and forth constantly. Sometimes one of us would feel totally at peace and the other one wouldn't, and sometimes we both felt confused. Overall, none of it felt... settled.

Then, maybe you recall Erik's knee injury in October. This felt like a frustrating set-back and we totally didn't know what God was up to. But, his injured knee forced him to hire some help at work. And so began a gradual shift in his business. Having guys working for him has not only made sense in terms of efficiency and money-making potential, but my very social husband realized how lonely and unfulfilling it had been to work by himself for so long. Add to all of this the fact that Erik has been getting more work than he even knows what to do with and his business has never been in a better position than it is right now.

We reached the pinnacle of our confusion right around Christmas time, and so one day Erik and I left the kids with his parents and spent the day together praying, talking and trying to hear what God might be telling us. I realized that day that I was totally willing to commit to (and be happy in) either location. I could honestly picture myself in either place. I knew at that moment that we needed to base the decision on Erik's work - not just where he could be the most financially successful, but also where he could be the most fulfilled. We didn't come home that day with a decision made, but that marked another gradual shift... an openness to the idea of staying.

And, slowly, as the idea settled into our brains and hearts, it really did just that.
It settled.

Ever since that day we have grown more and more peaceful about the idea of staying. Our conversations are no longer full of what-ifs. We're making plans for next year, for school and for Erik's business and for our next house. And there has been reigning peace in both of our hearts.

There is sadness in thinking of the many things about small-town Manitoba life that we will never have if we stay in BC - with the idea of living close to my parents and siblings definitely not being the least of them. But, our hope is that the future of Erik's business will provide us with the flexibility to spend more time there. In fact, we have plans to do a repeat performance of last year's trip to Manitoba. Erik has some work to finish on the cabin so we will get to enjoy another prairie summer with my family.

In the meantime, we're still planning to sell our house (ideally before the summer!), so if you think of us, you can pray that God would bring someone along to buy our place. It's not a good market for selling right now, but we know that God often likes to work with "impossibilities" and tight deadlines, so I'm just trusting that he is a part of all of this too.

And I'm just thankful we're not riding the seesaw anymore.


kelly ens said...

i am glad you're both experiencing peace with this decision. (of course, we're glad you'll be around longer!).
will be praying that your place sells!

Kerri Kincaid said...

Amazing post, Jamie. You have a way with writting! Must be from the 25 page letters we'd write each other in high school! :) I really admire your openess to hearing and obeying God. I love how He always guides us as a good shepherd would. Your post gave me goosebumps! I just love hearing how God is working in obvious ways in people's lives!

Misplaced materials data:
=====
For Ce2Sn9Pb, a PBE-relaxed structure gives the simulated X-ray powder pattern in this record (Cu Kα X-rays).
No peak broadening, texture or thermal motion is included.

Main lines, low angle first (10° ≤ 2θ ≤ 90°):
index, d (Å), I/Imax
1 1 3, 2.757, 100
0 0 6, 2.471, 18
2 0 0, 2.349, 33
2 0 6, 1.702, 23
2 2 0, 1.661, 12
1 1 9, 1.476, 14
3 1 3, 1.423, 28
2 2 6, 1.378, 12
3 1 9, 1.103, 12
2 0 12, 1.093, 5

Atomic structure:
Lattice parameters (Å, degrees): 4.697 4.697 14.825 90.00 90.00 90.00
Positions (direct):
Ce: 0.000 0.000 0.154
Ce: 0.000 0.000 0.846
Sn: 0.000 0.500 0.000
Sn: 0.000 0.500 0.326
Sn: 0.000 0.500 0.674
Sn: 0.500 0.000 0.000
Sn: 0.500 0.000 0.326
Sn: 0.500 0.000 0.674
Sn: 0.500 0.500 0.162
Sn: 0.500 0.500 0.500
Sn: 0.500 0.500 0.838
Pb: 0.000 0.000 0.500
=====
So much for the materials data:

Trev and Rebekah said...

Great post! I once heard a quote that the conditions for a great miracle is impossibility. May you see God's hand work in ways that are beyond what you can imagine in the coming weeks and months.

Bonnie said...

Great to hear where you guys are at. I have been wondering what your plans were. I'm most happy to hear that you're feeling so at peace about your decision. Its a really tough thing to feel like you're on the "seesaw." Hoping God's hand continues to guide & comfort you guys as you make decisions for your family. And for the sale of your house!! :)

Megan said...

Thanks for sharing. I am glad that both you and Erik were able to come together and feel the same "settled" feelings and be at peace. It is so important for both of you to be on the same page. May you continue to feel peace as you follow what the Lord has for you and your family.

KDees said...

Thanks for sharing, Jamie! So glad God has answered your prayers for peace!

Nichole said...

As much as we would love to have you all closer, I'm glad to hear that you are at peace with the decisions that have been made. Continuing to pray that God will open and close doors and reveal his will for your family.

rachel joy said...

The disappointment of a bittersweet change of direction is very real. We've felt it. But when you have peace in your heart that it's the right thing at the right time, it's more sweet than bitter. And yes, I'm so glad this means you'll be settling here!

Jen Glen said...

Did Craig ever send Erik the book Just Do Something? If not, we should, I know we spoke of it to you in the summer and it's truth applies to you in Manitoba and in Abby - God can use you wherever you are! Definitely looking forward to another visit in the summer and am now regretting we didn't make more of an effort to see you over Christmas! Love you guys.

raphael said...

Great reading your bloog post